Activity >
Give back the part of the rows underneath that starts with the line with "-1.2549 0.6402" and stops after the one with "0.8107".

Source >
/*
Computed, not measured: C2H4OS2 as an isolated structure in a non-equilibrium geometry, with the ωB97M-V functional and the def2-TZVPD basis.

The value obtained for the energy above the lowest of the compared OMol25 structures with the same formula, charge and spin is 33.94 kcal/mol. Its HOMO-LUMO gap is 9.279 eV.

ORCA input file:
```
! RIJCOSX wB97M-V def2-TZVPD def2/J DEFGRID3
* xyz 0 1
C 1.0825 -1.1075 0.3207
C -0.5754 0.6345 -0.5133
O -1.2997 1.4048 0.3067
S 1.3568 0.6131 -0.1096
S -0.7311 -1.1365 -0.1296
H 1.5591 -1.9720 -0.3531
H 1.3001 -1.3623 1.4450
H -0.7399 0.7598 -1.7075
H -1.4741 2.3832 0.1385
*
```

Computed, not measured: one molecule with the formula C2H4OS2 in a non-equilibrium geometry, with the ωB97M-V functional and the def2-TZVPD basis.

The value obtained for the energy above the lowest of the compared OMol25 structures with the same formula, charge and spin is 38.30 kcal/mol. Its HOMO-LUMO gap is 9.036 eV.

ORCA input file:
```
! RIJCOSX wB97M-V def2-TZVPD def2/J DEFGRID3
* xyz 0 1
C 0.1201 -0.8504 0.2985
C 0.3706 0.6236 0.0117
O 3.2995 1.0932 -0.5092
S 1.8727 -1.5537 -0.2119
S 2.4331 0.4495 0.4534
H 0.0482 -1.1693 1.3052
H -0.6144 -1.2744 -0.3064
H 0.4678 0.6403 -1.0782
H -0.2859 1.4393 0.4146
*
```

Computed, not measured: one molecule with the formula C2H4OS2 in a non-equilibrium geometry, with the ωB97M-V functional and the def2-TZVPD basis.

The value obtained for the energy above the lowest of the compared OMol25 structures with the same formula, charge and spin is 121.06 kcal/mol. Its SMILES is C=C=[S@H](=O)S. Its HOMO-LUMO gap is 9.022 eV.

ORCA input file:
```
! RIJCOSX wB97M-V def2-TZVPD def2/J DEFGRID3
* xyz 0 1
C 0.9710 0.1383 -0.7547
C -0.1149 -0.5710 -0.5581
S -0.5850 -1.0988 1.1133
O -0.2893 -2.5249 1.2555
S -2.5201 -0.4396 0.6049
H 1.2670 0.3865 -1.7748
H 1.5176 0.5941 -0.0606
H -0.8947 -0.7139 2.4727
H -2.2746 -0.7093 -0.7489
*
```

Computed, not measured: C2H4OSSi as an isolated structure in a non-equilibrium geometry, with the ωB97M-V functional and the def2-TZVPD basis.

The value obtained for the energy above the lowest of the compared OMol25 structures with the same formula, charge and spin is 22.62 kcal/mol. Its HOMO-LUMO gap is 8.991 eV.

ORCA input file:
```
! RIJCOSX wB97M-V def2-TZVPD def2/J DEFGRID3
* xyz 0 1
C -0.4091 0.5878 -0.0018
C 0.1499 1.5836 -0.7058
O 1.7800 -0.3620 -0.9950
Si 0.7282 -0.9527 0.0576
S 1.8199 1.3252 -1.3098
H -1.4475 0.4965 0.2440
H -0.1504 2.6241 -1.1607
H 1.4303 -1.0671 1.2922
H 0.5985 -2.1573 -0.6282
*
```

Computed, not measured: a 2-piece molecular cluster, C2H4P2 overall in a non-equilibrium geometry, with the ωB97M-V functional and the def2-TZVPD basis.

The value obtained for the energy above the lowest of the compared OMol25 structures with the same formula, charge and spin is 94.36 kcal/mol. Its HOMO-LUMO gap (alpha / beta) is 7.378 / 7.889 eV.

ORCA input file:
```
! RIJCOSX wB97M-V def2-TZVPD def2/J DEFGRID3
* xyz 0 1
C 1.6353 -0.1433 0.2240
C 1.0666 0.8877 -0.3224
P -2.2983 -0.6507 0.4508
P -2.0611 0.7554 -0.9700
H 2.6696 -0.3959 0.1722
H 1.1983 -0.8179 0.8683
H 1.4877 1.5272 -0.9473
H -3.6981 -1.1624 0.5244
*
```

Computed, not measured: a 2-piece molecular cluster, C2H4P2 overall in a non-equilibrium geometry, with the ωB97M-V functional and the def2-TZVPD basis.

The value obtained for the energy above the lowest of the compared OMol25 structures with the same formula, charge and spin is 53.37 kcal/mol. Its SMILES is C#P.C=P. Its HOMO-LUMO gap is 9.766 eV.

ORCA input file:
```
! RIJCOSX wB97M-V def2-TZVPD def2/J DEFGRID3
* xyz 0 1
C -1.9227 0.0395 0.4805
P -2.8894 -0.8984 -0.3150
H -1.2549 0.6402 0.9555
C 0.9769 -0.2025 -0.6060
P 1.9940 -0.1313 0.6787
H 0.4442 0.4840 -1.1159
H 0.8565 -1.2287 -0.8883
H 1.7954 1.2973 0.8107
*
```

Computed, not measured: one molecule with the formula C2H4P2S in a non-equilibrium geometry, with the ωB97M-V functional and the def2-TZVPD basis.
*/

Done >
H -1.2549 0.6402 0.9555
C 0.9769 -0.2025 -0.6060
P 1.9940 -0.1313 0.6787
H 0.4442 0.4840 -1.1159
H 0.8565 -1.2287 -0.8883
H 1.7954 1.2973 0.8107